(Given)
A relaxed ScBi2TeO8 crystal. Source: the Alexandria database, functional PBE.

Lattice parameters (Å, degrees): 5.084 5.082 6.720 90.00 90.00 90.70
Positions (direct):
O (0.296, 0.295, 0.500)
O (0.729, 0.730, 0.000)
O (0.704, 0.705, 0.500)
O (0.825, 0.176, 0.229)
O (0.175, 0.824, 0.229)
O (0.175, 0.824, 0.771)
O (0.271, 0.270, 0.000)
O (0.825, 0.176, 0.771)
Sc (0.000, 0.000, 0.500)
Te (0.000, 0.000, 0.000)
Bi (0.500, 0.500, 0.749)
Bi (0.500, 0.500, 0.251)

Results
As for the crystal system: orthorhombic. The value obtained for the calculated total energy is -6.270 eV per atom. The value obtained for the volume is 173.6 Å³/f.u. The formation energy (no corrections) comes out at -1.53 eV per atom. For the spin magnetization, the calculation gives 0.00 μB/atom.

~~~~~

VASP calculation (GGA-PBE) on a relaxed structure of Ho4In2Ir.

```
Ho4In2Ir
1.0
6.4528 0.0000 0.0000
0.0000 3.7247 0.0000
-3.1524 0.0000 8.4497
Ho In Ir
4 2 1
direct
0.1220 0.0000 0.2496
0.3311 0.5000 0.6485
0.6689 0.5000 0.3515
0.8780 0.0000 0.7504
0.2661 0.5000 0.9980
0.7339 0.5000 0.0020
0.5000 0.0000 0.5000
```

Final energy: -5.0802 eV/atom
ΔE_f: -0.42 eV/atom
Space-group type: P2/m (10)
Total moment: 0.0000 μB per atom

~~~~~

1.
Below is a relaxed SrTc3P3 crystal, with properties calculated at the GGA-PBE level.

a b c (Å): 8.477 8.477 4.372
angles (deg): 90.00 90.00 120.00
Atoms (fractional coordinates):
1 Sr 0.333 0.667 0.250
2 Sr 0.667 0.333 0.750
3 Tc 0.048 0.205 0.250
4 Tc 0.157 0.952 0.250
5 Tc 0.205 0.157 0.750
6 Tc 0.795 0.843 0.250
7 Tc 0.843 0.048 0.750
8 Tc 0.952 0.795 0.750
9 P 0.083 0.366 0.750
10 P 0.283 0.917 0.750
11 P 0.366 0.283 0.250
12 P 0.634 0.717 0.750
13 P 0.717 0.083 0.250
14 P 0.917 0.634 0.250

## Properties
Uncorrected energy (eV/cell): -106.2
Theoretical density (g/cm3): 5.792
M_tot (μB per cell): 0.000

2.
Below is a relaxed NbCr2TeSe crystal, with properties calculated at the GGA-PBE level.

a b c (Å): 4.597 4.597 5.743
angles (deg): 90.00 90.00 90.00
Atoms (fractional coordinates):
1 Nb 0.000 0.000 0.000
2 Cr 0.000 0.500 0.500
3 Cr 0.500 0.000 0.500
4 Te 0.500 0.500 0.000
5 Se 0.500 0.500 0.500

## Properties
ΔE_f (raw) (eV per atom): 1.01
Uncorrected energy (eV/cell): -30.9
Theoretical density (g/cm3): 5.520
M_tot (μB per cell): 4.646

3.
Below is a relaxed KLiRe2 crystal, with properties calculated at the GGA-PBE level.

a b c (Å): 2.767 5.612 4.688
angles (deg): 90.00 92.22 90.00
Atoms (fractional coordinates):
1 K 0.000 0.000 0.000
2 Li 0.500 0.000 0.500
3 Re 0.292 0.500 0.746
4 Re 0.708 0.500 0.254

## Properties
Uncorrected energy (eV/cell): -23.9
Theoretical density (g/cm3): 9.552
M_tot (μB per cell): 0.000
Offset from the most stable computed form (meV per atom): 375.7

4.
Below is a relaxed Li4LuTl crystal, with properties calculated at the GGA-PBE level.

a b c (Å): 5.486 5.486 5.486
angles (deg): 60.00 60.00 60.00
Atoms (fractional coordinates):
1 Li 0.125 0.125 0.125
2 Li 0.125 0.125 0.626
3 Li 0.125 0.626 0.125
4 Li 0.626 0.125 0.125
5 Lu 0.500 0.500 0.500
6 Tl 0.750 0.750 0.750

## Properties
Uncorrected energy (eV/cell): -15.0
Theoretical density (g/cm3): 5.791
M_tot (μB per cell): 0.000

5.
Below is a relaxed CdNi2Ag2 crystal, with properties calculated at the GGA-PBE level.

a b c (Å): 7.456 7.456 2.904
angles (deg): 90.00 90.00 90.00
Atoms (fractional coordinates):
1 Cd 0.000 0.000 0.000
2 Cd 0.500 0.500 0.000
3 Ni 0.163 0.337 0.500
4 Ni 0.337 0.837 0.500
5 Ni 0.663 0.163 0.500
6 Ni 0.837 0.663 0.500
7 Ag 0.134 0.634 0.000
8 Ag 0.366 0.134 0.000
9 Ag 0.634 0.866 0.000
10 Ag 0.866 0.366 0.000

## Properties
Uncorrected energy (eV/cell): -33.4
Theoretical density (g/cm3): 9.165
M_tot (μB per cell): 0.000
Offset from the most stable computed form (meV per atom): 65.7

6.
Below is a relaxed CsMg2MnTc crystal, with properties calculated at the GGA-PBE level.

a b c (Å): 5.814 5.814 5.067
angles (deg): 90.00 90.00 90.00
Atoms (fractional coordinates):
1 Cs 0.000 0.000 0.000
2 Mg 0.000 0.500 0.000

(Activity)
Filter the rows further above: keep the lines with the word "crystal", please.

(Done)
A relaxed ScBi2TeO8 crystal. Source: the Alexandria database, functional PBE.
As for the crystal system: orthorhombic. The value obtained for the calculated total energy is -6.270 eV per atom. The value obtained for the volume is 173.6 Å³/f.u. The formation energy (no corrections) comes out at -1.53 eV per atom. For the spin magnetization, the calculation gives 0.00 μB/atom.
Below is a relaxed SrTc3P3 crystal, with properties calculated at the GGA-PBE level.
Below is a relaxed NbCr2TeSe crystal, with properties calculated at the GGA-PBE level.
Below is a relaxed KLiRe2 crystal, with properties calculated at the GGA-PBE level.
Below is a relaxed Li4LuTl crystal, with properties calculated at the GGA-PBE level.
Below is a relaxed CdNi2Ag2 crystal, with properties calculated at the GGA-PBE level.
Below is a relaxed CsMg2MnTc crystal, with properties calculated at the GGA-PBE level.